Input >
____________
This record from OMol25 describes a structure of composition C29H27N3PSe2V. The level of theory is ωB97M-V/def2-TZVPD.

As for the expectation value of S²: 2.069. For the lowest unoccupied orbital energy (spin up / spin down), the calculation gives -0.2801 / -0.2442 Ha. The multiplicity is 3. For the total energy, the calculation gives -200639.6812 eV. The value obtained for the largest force on an atom is 0.78 eV/Å. The value obtained for the relative energy (zero: lowest compared OMol25 entry of this formula, charge and spin) is 38.5 kJ/mol. As for the HOMO energy (spin up / spin down): -13.44 / -13.44 eV. Its charge is +2.

Element x y z (Å)
Se -0.0562 0.2998 2.9057
Se 0.5774 -1.5370 -0.1685
V -1.6824 -0.8885 -0.4334
P 1.3565 -0.1320 1.4301
N -1.5478 1.1495 -0.7194
N -0.8742 1.0444 -2.9855
N -1.4048 -1.2079 -2.4745
C -1.7897 1.9238 0.3811
C -2.4342 -3.0680 0.8065
C 3.4516 -0.3436 3.1332
C -0.6953 3.0944 -1.8173
C -3.1281 -1.1902 2.1921
C 4.7329 -2.4215 1.8064
C 2.5406 1.2115 -0.7440
C 4.6673 -0.8149 3.5969
C 3.5168 -1.9527 1.3320
C 2.8763 -0.9101 1.9934
C 1.8590 2.5785 1.1165
C -1.5164 -2.4834 -2.9283
C 3.0526 3.5622 -0.7260
C -0.9222 3.8464 -0.6948
C -4.0461 -1.4868 -0.0497
C 3.0968 2.3239 -1.3561
C -3.9237 -0.7441 1.1231
C 2.4382 3.6862 0.5119
C -1.4995 3.2514 0.4322
C -1.1595 -0.2469 -3.3708
C 1.9101 1.3344 0.4940
C -1.0390 1.7378 -1.8091
C -1.5268 -2.8206 -4.2493
C -1.3401 -1.7998 -5.1864
C -1.1349 -0.5180 -4.7471
C -2.3337 -2.3193 1.9822
C -3.2233 -0.5242 3.5264
C -3.3232 -2.6801 -0.2002
C 5.3085 -1.8522 2.9320
H -1.7040 3.8160 1.3297
H -1.8362 -3.9622 0.6902
H 5.2262 -3.2378 1.2964
H -1.6453 -3.8511 -4.5489
H 2.9422 0.4507 3.6658
H -2.2068 1.4064 1.2303
H -3.2698 0.5611 3.4365
H -1.6409 -2.6287 2.7544
H -0.9625 0.2896 -5.4458
H 5.1111 -0.3779 4.4810
H -4.5025 0.1656 1.2345
H -1.3407 -2.0156 -6.2463
H 2.6268 0.2435 -1.2251
H 2.4238 4.6421 1.0200
H 3.0838 -2.4150 0.4550
H -0.6636 4.8968 -0.6875
H -0.5757 1.6303 -3.7508
H 1.3868 2.6717 2.0875
H -1.6099 -3.2439 -2.1663
H -0.2583 3.5295 -2.7058
H 6.2573 -2.2219 3.2973
H -3.4690 -3.2861 -1.0827
H 3.5996 2.2162 -2.3085
H -4.1534 -0.8516 3.9992
H -2.3976 -0.7984 4.1782
H -4.7178 -1.1549 -0.8317
H 3.5130 4.4236 -1.1921

Forces on the atoms, in the same order (eV/Å):
Se -0.2 0.0 0.2
Se 0.0 0.0 -0.1
V 0.4 0.3 0.6
P 0.3 0.1 -0.5
N -0.2 -0.4 0.0
N 0.0 0.1 0.0
N -0.2 0.1 0.1
C 0.0 -0.1 -0.1
C 0.0 0.1 -0.2
C 0.0 0.0 0.0
C 0.0 0.0 0.1
C 0.0 0.0 -0.1
C 0.0 0.0 0.0
C 0.0 -0.1 -0.1
C 0.0 0.0 0.0
C 0.0 0.0 0.0
C 0.0 0.0 0.2
C 0.0 0.0 0.1
C -0.3 -0.1 0.0
C 0.0 0.0 0.0
C 0.0 0.0 0.0
C 0.0 0.0 -0.1
C 0.0 0.0 0.0
C 0.0 0.0 -0.1
C 0.0 0.0 0.0
C 0.0 0.1 0.0
C 0.0 -0.1 -0.1
C 0.0 0.0 0.1
C 0.0 0.1 0.0
C 0.2 0.0 0.0
C 0.0 0.0 0.0
C 0.0 0.0 0.0
C 0.0 0.0 0.0
C 0.0 0.0 0.0
C 0.0 0.1 0.0
C 0.0 0.0 0.0
H 0.0 0.0 0.0
H 0.0 0.0 0.0
H 0.0 0.0 0.0
H 0.0 0.0 0.0
H 0.0 0.0 0.0
H 0.0 0.0 0.0
H 0.0 0.0 0.0
H 0.0 0.0 0.0
H 0.0 0.0 0.0
H 0.0 0.0 0.0
H 0.0 0.0 0.0
H 0.0 0.0 0.0
H 0.0 0.0 0.0
H 0.0 0.0 0.0
H 0.0 0.0 0.0
H 0.0 0.0 0.0
H 0.0 0.0 0.0
H 0.0 0.0 0.0
H 0.0 0.0 0.0
H 0.0 0.0 0.0
H 0.0 0.0 0.0
H 0.0 0.0 0.0
H 0.0 0.0 0.0
H 0.0 0.0 0.0
H 0.0 0.0 0.0
H 0.0 0.0 0.0
H 0.0 0.0 0.0


This record from OMol25 describes a structure of composition C29H27N6O4W. The level of theory is ωB97M-V/def2-TZVPD.

For the lowest unoccupied orbital energy, the calculation gives -0.1400 Ha. For the total energy, the calculation gives -49461.0878 eV. The value obtained for the largest force on an atom is 1.49 eV/Å. The value obtained for the relative energy (zero: lowest compared OMol25 entry of this formula, charge and spin) is 201.1 kJ/mol. As for the HOMO energy: -10.59 eV. Its charge is +1.

Element x y z (Å)
W -0.0043 0.5861 0.3324
O -1.5272 1.3509 4.1803
O 0.1357 -1.1873 -0.6396
O 0.5750 0.8872 -1.6664
O 3.2712 3.0264 -0.3099
N -0.2188 1.4212 2.2623
N 0.6743 -1.1898 -1.8561
N -1.0570 -0.9765 1.6080
N 0.9056 -0.0901 -2.4085
N 1.2319 2.2114 0.4330
N 2.3284 -0.1961 0.5583
C 2.7889 -1.4480 0.6408
C -2.5767 -0.1100 -1.9531
____________

Assignment >
Next, repeat the lines further up from the one with "-0.7194" to the one with "0.6902" word for word.

Written answer >
N -1.5478 1.1495 -0.7194
N -0.8742 1.0444 -2.9855
N -1.4048 -1.2079 -2.4745
C -1.7897 1.9238 0.3811
C -2.4342 -3.0680 0.8065
C 3.4516 -0.3436 3.1332
C -0.6953 3.0944 -1.8173
C -3.1281 -1.1902 2.1921
C 4.7329 -2.4215 1.8064
C 2.5406 1.2115 -0.7440
C 4.6673 -0.8149 3.5969
C 3.5168 -1.9527 1.3320
C 2.8763 -0.9101 1.9934
C 1.8590 2.5785 1.1165
C -1.5164 -2.4834 -2.9283
C 3.0526 3.5622 -0.7260
C -0.9222 3.8464 -0.6948
C -4.0461 -1.4868 -0.0497
C 3.0968 2.3239 -1.3561
C -3.9237 -0.7441 1.1231
C 2.4382 3.6862 0.5119
C -1.4995 3.2514 0.4322
C -1.1595 -0.2469 -3.3708
C 1.9101 1.3344 0.4940
C -1.0390 1.7378 -1.8091
C -1.5268 -2.8206 -4.2493
C -1.3401 -1.7998 -5.1864
C -1.1349 -0.5180 -4.7471
C -2.3337 -2.3193 1.9822
C -3.2233 -0.5242 3.5264
C -3.3232 -2.6801 -0.2002
C 5.3085 -1.8522 2.9320
H -1.7040 3.8160 1.3297
H -1.8362 -3.9622 0.6902